By Raad Shakir

Raad Shakir, MD
Reasons for attending and participating in congresses vary. There are those who like to travel and meet neurologists from other parts of the world, which they will never do even if they visited their countries. There are others who are attracted by the lure of the big names of speakers, the organizing associations, and the attractiveness of the cities. For world congresses, the attendees come in the thousands because the meetings transcend national, regional, or specialty categories. This means that there is something for everyone.
If you look at national neurological society meetings, they tend to have few outside speakers, but the attendees are colleagues, perhaps in the same institution or the one next door. You tend to know most attendees, and it serves not only to listen to what others are doing in their research or how they practice, but to hear about gossip and job opportunities and to obtain postgraduate certification.
Perhaps another advantage/disadvantage is that of language. Many national meetings are in the local language, which is well and good. The advantage is that neurologists will have a better understanding of what is being said and will be clearly advised on practice parameters and guidelines. On the other hand, the language of medicine and science is English and many national associations’ congresses will either have sessions in English or have completely changed their language to English.
The reasoning is clear. If a neurologist or a neuroscientist would like to publish internationally, then the only way to get a recognized indexed paper is to use the English language.
In essence national congresses are all well and good, but they lack an international outlook and global interaction.
The second level is that of major regional international associations’ congresses, which are geographically distributed. There are six such congresses; two are annual and four are biennial. Some of these are well attended and professionally organized. However, in some regions with nascent associations, the concepts are still developing. The big regional organizations’ congresses are attended from outside their regions, and this is important for interaction. Such organizations certainly encourage work to be presented as well as out-of-region attendance to boost their figures and standing.
Looking at the plethora of specialty meetings and congresses, they obviously concentrate on specific topics. The degree of interest varies enormously. The speakers are obviously well known in their fields, but perhaps at times tend to concentrate on fine detail, which may not be of major interest to the audience. The attendance by and large relies on support from various sources to register and travel. The major advances in the specific field tend to be presented. Even if the neurologist is interested in the field in question, after a day or so the topics become a bit repetitious and some, if not the majority, will lose interest.
Specialty congresses, however, have a pivotal role to play in educating not only neurologists, but to propagate neuroscience in specific fields. Scientists may not have the funds to attend big international jamborees as their travel funds come from grants that rightly limit their ability to travel. Over the last decade or two, there has been an explosion in attendance of other health care professionals who find attending specialty meetings vital. Nurses, therapists, pharmacists, and psychologists, to name a few, all need to listen to advances in their chosen field of specialty. These fields tend to be by and large covered in specialist congresses. The majority of such practitioners will shy away from large general international congresses.
Drug industry-sponsored congresses and meetings tend either to be directed at a local group of medical practitioners or a targeted audience chosen by the sponsors. Governmental rules are rightly restricting sponsorship because public opinion is clearly against such practices. There is certainly a place for informing neurologists on the availability of certain drugs in their locality, and there is definitely a role to be played by the pharmaceutical industry. However, this has to be limited and controlled, rather than left to a self-governing code of practice.
In many parts of the world, governments will forbid pharmaceutical company sponsorships within the same country. As an example, if a meeting on a specific topic is being organized in a certain city, only neurologists from that city and not from other parts of the country, let alone internationally, can be sponsored to attend.
Presentations in pharmaceutical industry-sponsored meetings and symposia are primarily viewed as being at least partially one-sided. The majority of speakers declare their financial interests and do their best to provide non-biased views in their presentations. However, we cannot escape the fact that neurological public opinion tends to take the presentations with a pinch of salt. Even at major international congresses, sponsored symposia are separated from the main themes of the congress and portray a different point of view.
We have to remember another issue of funding congress attendance. In many parts of the world, the neurologist, as well as any other medical practitioner, can claim tax relief on congress attendance as part of the annual continuing medical education (CME) requirement. This practice in some localities is limited by governments to national meetings, and in some instances to international congresses, which carry certificates of approval from major international medical institutions. This practice has to be strict, as it deprives governments from taxation.
-- Misplaced calculated crystals --
Record 1
CeSi4Ni9: simulated XRD peak list (Cu Kα X-rays), based on a structure optimized by DFT (GGA-PBE).
Peak positions follow from Bragg's law for the DFT cell and can differ from measured ones.

Main lines, in order of falling intensity (2θ = 10–90°):
(hkl)	d/Å	intensity
3 1 2	2.272	100
2 1 5	1.913	39
3 2 3	1.886	32
2 0 4	2.307	21
4 1 1	1.873	21
2 2 2	2.491	21
0 0 4	2.855	20
3 1 0	2.476	16
1 1 4	2.538	14
4 2 0	1.751	14

Cell and atoms:
Lattice parameters (Å, degrees): 7.830 7.830 11.421 90.00 90.00 90.00
Space group I4/mcm (No. 140)
Symmetry-distinct sites (fractional):
Ce 0.000 0.000 0.250 x4
Si 0.171 0.329 0.117 x16
Ni 0.000 0.500 0.000 x4
Ni 0.069 0.204 0.500 x16
Ni 0.132 0.368 0.314 x16

***

Record 2
PuB4Ir4: simulated XRD peak list (Cu Kα X-rays), based on a structure optimized by DFT (GGA-PBE).
Peak positions follow from Bragg's law for the DFT cell and can differ from measured ones.

Main lines, in order of falling intensity (2θ = 10–90°):
(hkl)	d/Å	intensity
1 2 1	2.588	100
3 1 0	2.428	66
4 3 1	1.431	24
2 2 1	2.235	21
1 1 1	3.187	18
1 0 2	1.907	18
2 4 0	1.717	16
3 0 2	1.560	12
3 2 1	1.873	11
1 3 1	2.067	11

Cell and atoms:
Lattice parameters (Å, degrees): 7.678 7.678 3.936 90.00 90.00 90.00
Space group P4_2/n (No. 86, origin choice 2)
Symmetry-distinct sites (fractional):
Pu 0.250 0.250 0.250 x2
B 0.024 0.594 0.137 x8
Ir 0.088 0.859 0.138 x8

***

Record 3
Ti7O13: simulated XRD peak list (Cu Kα X-rays), based on a structure optimized by DFT (GGA-PBE).
Peak positions follow from Bragg's law for the DFT cell and can differ from measured ones.

Main lines, in order of falling intensity (2θ = 10–90°):
(hkl)	d/Å	intensity
1 0 3	3.046	100
1 2 0	3.389	70
1 2 -1	3.168	69
3 2 -2	1.719	55
1 0 2	3.828	43
1 0 -4	2.524	38
-1 2 1	2.500	34
2 0 -1	2.592	32
0 1 5	2.223	32
2 4 -1	1.654	31

Cell and atoms:
Lattice parameters (Å, degrees): 5.592 7.191 11.408 83.96 89.28 71.33
Space group P-1 (No. 2)
Symmetry-distinct sites (fractional):
Ti 0.000 0.000 0.000 x1
Ti 0.000 0.500 0.000 x1
Ti 0.206 0.289 0.552 x2
Ti 0.206 0.790 0.556 x2
Ti 0.215 0.486 0.293 x2
Ti 0.217 0.983 0.293 x2
Ti 0.386 0.764 0.856 x2
Ti 0.390 0.264 0.853 x2
O 0.032 0.926 0.832 x2
O 0.057 0.068 0.592 x2
O 0.115 0.231 0.949 x2
O 0.127 0.236 0.376 x2
O 0.148 0.366 0.706 x2
O 0.198 0.552 0.473 x2
O 0.243 0.405 0.140 x2
O 0.281 0.529 0.899 x2
O 0.319 0.713 0.251 x2
O 0.364 0.831 0.014 x2
O 0.425 0.687 0.683 x2
O 0.448 0.844 0.445 x2
O 0.498 0.005 0.204 x2

***

Record 4
LiTiCl3: simulated XRD peak list (Cu Kα X-rays), based on a structure optimized by DFT (GGA-PBE).
Peak positions follow from Bragg's law for the DFT cell and can differ from measured ones.

Main lines, in order of falling intensity (2θ = 10–90°):
(hkl)	d/Å	intensity
1 0 0	5.059	100
2 0 0	2.530	63
0 0 1	4.860	58
2 0 2	1.752	36
0 0 2	2.430	27
2 0 1	2.244	26
1 1 1	2.881	22
2 1 0	2.263	21
2 2 0	1.789	19
1 0 2	2.191	19

Cell and atoms:
Lattice parameters (Å, degrees): 5.059 5.059 4.860 90.00 90.00 90.00
-- End of the calculated crystals --
As you are all probably aware, the upcoming 23rd World Congress of Neurology (WCN) is being held Sept. 16-21, 2017, in Kyoto, Japan. We are all grateful for the Japanese Society of Neurology for hosting us. This is the showcase of global neurology. The biennial nature of the congresses makes them that bit different, and the general nature of the program is an attraction to many. The basic principle is to involve all six regional organizations and all of the specialties in neurology. Each one is asked to provide a program with conveners and speakers so that the essence of the specific field is distilled into one congress. Moreover, each congress is hosted by a national neurological society, and the competition is quite fierce. Holding the WCN is a privilege to the national society and its region. Congresses bring benefit to the society and the region. This has been seen time and again.
The WFN makes sure that our congresses are not, in the old sense, carbon copies, but have a basic structure and a distinct local flavor. Kyoto is no different. The Asian region’s competition was fierce, but the WFN council of delegates voted to award the congress to Kyoto. The WFN system of egalitarian democracy is unique in that the WFN leadership can only watch the delegates vote and decide. The choice and the decision is theirs.
Once the decision is made, the WFN works closely with the host society to produce the scientific program, teaching courses, and social programs. The role of the WFN and its congress organizer is to closely advise the host society on how the whole congress is constructed using previous experience, but adding a local touch.
The WCN is therefore a balanced and an appetizing mixture of all types of congresses — national, regional, specialty, and industry-sponsored meetings. The attendee is presented with the best of several worlds in a concise and a most perfectly packaged setting.
There is no doubt that it is a unique opportunity. I urge all of you to attend.